Assignment:
What is needed: quote every line underneath that contains the word "record".
Excerpt:
~~~
Ac3P4Rh4: relaxed, PBE.

Calculated values
As for the energy relative to the elements: -12.3 eV per formula unit. For the magnetic moment, the calculation gives 0.000 μB/cell. As for the space group: No. 71.

Cell: 12.8048 12.8048 12.8048 Å, 161.15 161.10 26.82°
With the nearest neighbours (Å) after each atom.
Positions (direct):
Ac (0.0000, 0.0000, 0.0000)  8 P 3.21, 4 Rh 3.23
Ac (0.1452, 0.6452, 0.5000)  6 P 3.18-3.23, 8 Rh 3.19-3.40
Ac (0.8548, 0.3548, 0.5000)  6 P 3.18-3.23, 8 Rh 3.19-3.40
P (0.3042, 0.8042, 0.5000)  5 Rh 2.42-2.53
P (0.4506, 0.4506, 0.0000)  2 Rh 2.43, 1 P 2.46
P (0.5494, 0.5494, 0.0000)  2 Rh 2.43, 1 P 2.46
P (0.6958, 0.1958, 0.5000)  5 Rh 2.42-2.53
Rh (0.2474, 0.2474, 0.0000)  4 P 2.46-2.53
Rh (0.4015, 0.9015, 0.5000)  3 P 2.42-2.43
Rh (0.5985, 0.0985, 0.5000)  3 P 2.42-2.43
Rh (0.7526, 0.7526, 0.0000)  4 P 2.46-2.53



Ac2PRh: relaxed, PBE.

Calculated values
The energy above the most stable polymorph in this dataset is 0.065 eV/atom. As for the energy relative to the elements: -3.8 eV per formula unit. For the magnetic moment, the calculation gives 0.000 μB/cell. As for the space group: No. 166.

Cell: 7.6448 7.6448 7.6448 Å, 33.23 33.23 33.23°
With the nearest neighbours (Å) after each atom.
Positions (direct):
Ac (0.2479, 0.2479, 0.2479)  3 Rh 3.08, 3 P 3.13
Ac (0.7521, 0.7521, 0.7521)  3 Rh 3.08, 3 P 3.13
P (0.0000, 0.0000, 0.0000)  6 Ac 3.13
Rh (0.5000, 0.5000, 0.5000)  6 Ac 3.08



Q: What is the formula in the second record?
A: Ac2PRh

* * * * *

# 1
A relaxed structure of Hf2VZn. Source: Alexandria via LeMat-Bulk, functional PBE.

The formation energy is 58.5 kJ per mole of atoms. As for the calculated total energy: -6.968 eV/atom. The space-group type is No. 122.

abc: 10.0689 10.0689 10.0689
angles: 157.00 157.00 32.75
Sites, in units of the cell vectors:
Hf  0.1202  0.6250  0.9952
Hf  0.3750  0.3702  0.4952
Hf  0.6298  0.1250  0.0048
Hf  0.8750  0.8798  0.5048
V  0.0000  0.0000  0.0000
V  0.7500  0.2500  0.5000
Zn  0.2500  0.7500  0.5000
Zn  0.5000  0.5000  0.0000

---

# 2
A relaxed structure of HfVZn2. Source: Alexandria via LeMat-Bulk, functional PBE.

The formation energy is -2.9 kJ per mole of atoms. As for the calculated total energy: -5.435 eV/atom. The space-group type is No. 123.

abc: 4.0083 4.0083 3.9729
angles: 90.00 90.00 90.00
Sites, in units of the cell vectors:
Hf  0.0000  0.0000  0.0000
V  0.5000  0.5000  0.0000
Zn  0.0000  0.5000  0.5000
Zn  0.5000  0.0000  0.5000

---

# 3
A relaxed structure of HfVZn2. Source: Alexandria via LeMat-Bulk, functional PBE.

The formation energy is 32.7 kJ per mole of atoms. As for the calculated total energy: -5.066 eV/atom. The space-group type is No. 122.

abc: 5.7416 5.7416 5.7416
angles: 101.76 101.76 126.33
Sites, in units of the cell vectors:
Hf  0.0000  0.0000  0.0000
Hf  0.7500  0.2500  0.5000
V  0.2500  0.7500  0.5000
V  0.5000  0.5000  0.0000
Zn  0.1496  0.1250  0.5246
Zn  0.3750  0.8504  0.9754
Zn  0.6004  0.6250  0.4754
Zn  0.8750  0.3996  0.0246

---

# 4
A relaxed structure of HfVZn2. Source: Alexandria via LeMat-Bulk, functional PBE.

The formation energy is 1.0 kJ per mole of atoms. As for the calculated total energy: -5.394 eV/atom. The space-group type is No. 123.

abc: 3.2615 3.2615 6.0428
angles: 90.00 90.00 90.00
~~~
Written answer:
Q: What is the formula in the second record?